Activity.
The reader should transcribe the material below from the first line to the one with "-5.790 -2.862" word for word.
Given.
-- begin --
The following is a quantum chemistry calculation of a 4-piece molecular cluster, C33H63I3N4O7S overall in a non-equilibrium geometry, from the Open Molecules 2025 dataset.

The LUMO energy comes out at -0.01318 hartree. The structure (SMILES) is CCCCCCCCCCCCC[C@]1([C@H](I)[C@@H](C)I)[C@](O)(I)NC(=O)[C@@]1(S)CCCC(=O)O.CNC(C)=O.CNC(C)=O.CNC(C)=O. The calculation puts the frontier orbital gap at 8.7933 eV. As for the charge: 0.

Element x y z (Å)
C 1.162 -6.198 -2.154
C 0.316 -5.510 -3.219
C -0.179 -4.088 -2.844
C -0.786 -3.919 -1.415
C -0.013 -2.789 -0.679
C 1.318 -3.256 -0.057
C 2.577 -2.639 -0.725
C 3.680 -2.513 0.328
C 5.026 -1.989 -0.221
C 5.482 -0.675 0.456
C 5.248 0.566 -0.437
C 3.814 1.050 -0.208
C 3.460 2.191 -1.176
C 2.061 2.843 -0.960
C 2.148 4.090 -0.024
I 3.767 4.073 1.431
C 0.831 4.494 0.718
C 0.755 4.316 2.242
I 0.588 6.658 0.426
C 0.969 1.770 -0.753
O -0.394 2.190 -1.027
I 0.715 0.778 1.163
N 1.245 0.946 -1.927
C 1.145 1.898 -2.985
O 0.822 1.612 -4.074
C 1.596 3.272 -2.429
S 3.004 4.040 -3.395
C 0.530 4.430 -2.513
C -0.387 4.396 -3.763
C 0.202 4.983 -5.067
C 0.728 3.977 -6.050
O 1.833 4.068 -6.466
O -0.080 3.002 -6.487
H 0.572 -6.425 -1.254
H 1.503 -7.160 -2.546
H 2.064 -5.640 -1.896
H -0.554 -6.101 -3.512
H 0.947 -5.386 -4.105
H 0.656 -3.392 -2.957
H -0.940 -3.790 -3.568
H -0.781 -4.842 -0.837
H -1.834 -3.623 -1.503
H -0.673 -2.455 0.128
H 0.108 -1.962 -1.382
H 1.334 -2.905 0.982
H 1.390 -4.344 -0.018
H 2.855 -3.327 -1.530
H 2.311 -1.687 -1.193
H 3.292 -1.913 1.155
H 3.834 -3.519 0.731
H 5.025 -1.906 -1.309
H 5.786 -2.739 0.010
H 4.831 -0.540 1.321
H 6.514 -0.708 0.801
H 5.290 0.260 -1.488
H 6.006 1.343 -0.316
H 3.586 1.256 0.835
H 3.178 0.208 -0.498
H 4.243 2.944 -1.188
H 3.530 1.726 -2.156
H 2.419 4.917 -0.665
H -0.074 4.071 0.301
H 1.237 5.115 2.794
H 1.064 3.337 2.595
H -0.305 4.406 2.506
H -0.956 1.986 -0.267
H 0.583 0.186 -2.050
H 3.579 4.816 -2.449
H -0.166 4.373 -1.684
H 1.081 5.363 -2.534
H -1.220 5.053 -3.497
H -0.857 3.427 -3.911
H -0.622 5.499 -5.574
H 0.927 5.757 -4.853
H 0.525 2.299 -6.772
C -0.281 -4.524 4.222
N 0.075 -5.081 2.929
C -0.486 -6.123 2.276
C -1.636 -6.831 2.943
O -0.059 -6.453 1.177
H -0.556 -3.476 4.090
H 0.588 -4.579 4.881
H -1.112 -5.054 4.675
H 0.836 -4.663 2.414
H -1.977 -7.635 2.295
H -1.321 -7.260 3.895
H -2.460 -6.134 3.106
C -6.588 -6.427 3.313
N -5.309 -5.935 3.790
C -5.029 -4.735 4.364
C -6.170 -3.765 4.547
O -3.889 -4.465 4.716
H -6.842 -7.343 3.848
H -6.510 -6.656 2.249
H -7.377 -5.697 3.463
H -4.505 -6.535 3.699
H -5.790 -2.862 5.015
H -6.604 -3.501 3.582
H -6.936 -4.195 5.193
C -3.015 8.562 0.422
N -2.744 7.853 1.657
C -3.580 7.635 2.707
C -4.982 8.188 2.613
O -3.194 7.011 3.683
H -2.862 7.884 -0.421
H -2.318 9.397 0.327
H -4.031 8.941 0.394
H -1.824 7.457 1.786
H -5.521 7.932 3.521
H -4.958 9.274 2.516
H -5.507 7.753 1.762

---

The following is a quantum chemistry calculation of C33H64FIN8NbO4 as an isolated structure in a non-equilibrium geometry, from the Open Molecules 2025 dataset.

As for the energy above the lowest of the compared OMol25 structures with the same formula, charge and spin: 0.0 kJ/mol. The LUMO energy comes out at 0.06439 hartree. The calculation puts the frontier orbital gap at 5.8528 eV. As for the charge: -1.

Element x y z (Å)
C -0.530 5.802 -5.124
C -0.432 4.426 -4.430
C 0.680 4.289 -3.366
F 1.231 5.561 -3.048
Nb 0.176 3.127 -1.428
O 1.317 4.392 -0.331
I -2.005 4.921 -1.137
C -1.023 1.656 -2.647
C -0.385 1.092 -3.937
N -0.081 -0.358 -3.814
C 2.050 1.918 -1.694
C 2.336 0.706 -0.780
C 1.512 -0.541 -1.045
N 0.257 -0.676 -0.434
O 1.977 -1.412 -1.782
C -0.491 2.204 0.554
O -1.735 1.507 0.520
O -2.387 1.640 1.812
H 0.307 6.456 -4.883
H -0.528 5.665 -6.215
H -1.480 6.291 -4.883
H -1.415 4.151 -4.032
H -0.201 3.679 -5.198
H 1.506 3.725 -3.834
H 2.230 4.101 -0.227
H -1.980 2.151 -2.852
H -1.239 0.791 -2.007
H 0.499 1.656 -4.262
H -1.105 1.219 -4.761
H 0.922 -0.510 -3.855
H -0.447 -0.838 -4.630
H 2.893 2.613 -1.573
H 2.125 1.557 -2.731
-- stop --
Written answer.
The following is a quantum chemistry calculation of a 4-piece molecular cluster, C33H63I3N4O7S overall in a non-equilibrium geometry, from the Open Molecules 2025 dataset.

The LUMO energy comes out at -0.01318 hartree. The structure (SMILES) is CCCCCCCCCCCCC[C@]1([C@H](I)[C@@H](C)I)[C@](O)(I)NC(=O)[C@@]1(S)CCCC(=O)O.CNC(C)=O.CNC(C)=O.CNC(C)=O. The calculation puts the frontier orbital gap at 8.7933 eV. As for the charge: 0.

Element x y z (Å)
C 1.162 -6.198 -2.154
C 0.316 -5.510 -3.219
C -0.179 -4.088 -2.844
C -0.786 -3.919 -1.415
C -0.013 -2.789 -0.679
C 1.318 -3.256 -0.057
C 2.577 -2.639 -0.725
C 3.680 -2.513 0.328
C 5.026 -1.989 -0.221
C 5.482 -0.675 0.456
C 5.248 0.566 -0.437
C 3.814 1.050 -0.208
C 3.460 2.191 -1.176
C 2.061 2.843 -0.960
C 2.148 4.090 -0.024
I 3.767 4.073 1.431
C 0.831 4.494 0.718
C 0.755 4.316 2.242
I 0.588 6.658 0.426
C 0.969 1.770 -0.753
O -0.394 2.190 -1.027
I 0.715 0.778 1.163
N 1.245 0.946 -1.927
C 1.145 1.898 -2.985
O 0.822 1.612 -4.074
C 1.596 3.272 -2.429
S 3.004 4.040 -3.395
C 0.530 4.430 -2.513
C -0.387 4.396 -3.763
C 0.202 4.983 -5.067
C 0.728 3.977 -6.050
O 1.833 4.068 -6.466
O -0.080 3.002 -6.487
H 0.572 -6.425 -1.254
H 1.503 -7.160 -2.546
H 2.064 -5.640 -1.896
H -0.554 -6.101 -3.512
H 0.947 -5.386 -4.105
H 0.656 -3.392 -2.957
H -0.940 -3.790 -3.568
H -0.781 -4.842 -0.837
H -1.834 -3.623 -1.503
H -0.673 -2.455 0.128
H 0.108 -1.962 -1.382
H 1.334 -2.905 0.982
H 1.390 -4.344 -0.018
H 2.855 -3.327 -1.530
H 2.311 -1.687 -1.193
H 3.292 -1.913 1.155
H 3.834 -3.519 0.731
H 5.025 -1.906 -1.309
H 5.786 -2.739 0.010
H 4.831 -0.540 1.321
H 6.514 -0.708 0.801
H 5.290 0.260 -1.488
H 6.006 1.343 -0.316
H 3.586 1.256 0.835
H 3.178 0.208 -0.498
H 4.243 2.944 -1.188
H 3.530 1.726 -2.156
H 2.419 4.917 -0.665
H -0.074 4.071 0.301
H 1.237 5.115 2.794
H 1.064 3.337 2.595
H -0.305 4.406 2.506
H -0.956 1.986 -0.267
H 0.583 0.186 -2.050
H 3.579 4.816 -2.449
H -0.166 4.373 -1.684
H 1.081 5.363 -2.534
H -1.220 5.053 -3.497
H -0.857 3.427 -3.911
H -0.622 5.499 -5.574
H 0.927 5.757 -4.853
H 0.525 2.299 -6.772
C -0.281 -4.524 4.222
N 0.075 -5.081 2.929
C -0.486 -6.123 2.276
C -1.636 -6.831 2.943
O -0.059 -6.453 1.177
H -0.556 -3.476 4.090
H 0.588 -4.579 4.881
H -1.112 -5.054 4.675
H 0.836 -4.663 2.414
H -1.977 -7.635 2.295
H -1.321 -7.260 3.895
H -2.460 -6.134 3.106
C -6.588 -6.427 3.313
N -5.309 -5.935 3.790
C -5.029 -4.735 4.364
C -6.170 -3.765 4.547
O -3.889 -4.465 4.716
H -6.842 -7.343 3.848
H -6.510 -6.656 2.249
H -7.377 -5.697 3.463
H -4.505 -6.535 3.699
H -5.790 -2.862 5.015